**Source**
- - -
The following is a PBE with a Hubbard U calculation of a relaxed structure of NaCo2TeO8, from the Alexandria database.

a b c (Å): 6.9036 6.9036 6.1301
angles (deg): 90.00 90.00 90.00
Space group I-4m2 (No. 119)
Inequivalent atoms, fractional coordinates:
Na  0.0000  0.0000  0.0000 x2
Co  0.0000  0.0000  0.5000 x2
Co  0.0000  0.5000  0.7500 x2
Te  0.0000  0.5000  0.2500 x2
O  0.0000  0.2066  0.3239 x8
O  0.0000  0.3282  0.9441 x8

**VASP energy**: -5.146 eV per atom

~~~~~

# NdLuZnPd (PBE, optimized geometry)
# ΔE_f = -0.557 eV/atom
# crystal system = cubic
# volume = 22.67 Å³/atom
# density of states at the Fermi level = 13.08 states/eV/cell
data_NdLuZnPd
_chemical_formula_sum 'Nd4 Lu4 Zn4 Pd4'
_cell_length_a 7.1320
_cell_length_b 7.1320
_cell_length_c 7.1320
_cell_angle_alpha 90.00
_cell_angle_beta 90.00
_cell_angle_gamma 90.00
_symmetry_space_group_name_H-M 'F -4 3 m'
_symmetry_Int_Tables_number 216
_symmetry_space_group_name_Hall 'F -4 2 3'
loop_
_atom_site_label
_atom_site_type_symbol
_atom_site_fract_x
_atom_site_fract_y
_atom_site_fract_z
Nd1 Nd 0.0000 0.0000 0.0000
Lu1 Lu 0.0000 0.0000 0.5000
Zn1 Zn 0.2500 0.2500 0.7500
Pd1 Pd 0.2500 0.2500 0.2500

~~~~~

First-principles (GGA-PBE) data for an optimized crystal structure of SiPtRh, as listed in the Alexandria database.

Unit cell a=4.1563 b=4.1563 c=4.1563 alpha=60.00 beta=60.00 gamma=60.00
Closest atoms and distances in Å follow each position.
Sites, in units of the cell vectors:
Pt: 0.5000 0.5000 0.5000  4 Rh 2.55
Rh: 0.7500 0.7500 0.7500  4 Si 2.55, 4 Pt 2.55
Si: 0.0000 0.0000 0.0000  4 Rh 2.55

Calculated values
- volume (Å³/atom) = 16.924
- energy (eV/atom) = -6.36
- density of states at the Fermi level (states/eV/cell) = 2.09
- spin magnetization (μB/cell) = 0.0
- space group = F-43m, No. 216

~~~~~

(1)
Rb2TlTcPt: optimized geometry, GGA-PBE.

```
Rb2TlTcPt
1.0
6.731 0.000 0.000
0.000 5.139 0.000
0.000 0.000 6.731
Rb Tl Pt Tc
2 1 1 1
Direct
0.500 0.000 0.000 Rb
0.000 0.000 0.500 Rb
0.000 0.000 0.000 Tl
0.000 0.500 0.000 Pt
0.500 0.500 0.500 Tc
```

Calculated values
Space-group type: P4/mmm
Formation energy from the elements (eV/atom): 1.24
Total magnetization (μB per formula unit): 4.17

(2)
SiTeCl2: optimized geometry, GGA-PBE.

```
SiTeCl2
1.0
-2.866 3.355 2.101
-3.244 -3.476 1.129
4.659 -0.457 1.401
Cl Si Te
2 1 1
Direct
0.250 0.750 0.500 Cl
0.000 0.000 0.000 Cl
0.500 0.500 0.000 Si
0.750 0.250 0.500 Te
```

Calculated values
Space-group type: F-43m
Offset from the most stable computed form (meV per atom): 480
Total magnetization (μB per formula unit): 0.00
E_form (uncorrected) (meV/atom): 157

(3)
LiTi3Te: optimized geometry, GGA-PBE.

```
LiTi3Te
1.0
-0.540 3.385 -2.838
-1.617 -2.812 -3.046
-4.111 0.662 1.571
Te Ti Li
1 3 1
Direct
0.500 0.500 0.500 Te
0.000 0.000 0.500 Ti
0.500 0.000 0.000 Ti
0.000 0.500 0.000 Ti
0.000 0.000 0.000 Li
```

Calculated values
Space-group type: Pm-3m
Offset from the most stable computed form (meV per atom): 0
Total magnetization (μB per formula unit): 0.00
E_form (uncorrected) (meV/atom): 491

(4)
GaReTc2: optimized geometry, GGA-PBE.

```
GaReTc2
1.0
-0.347 -2.760 0.864
2.529 0.133 1.439
-3.308 2.173 5.611
Ga Re Tc
1 1 2
Direct
0.500 0.500 0.500 Ga
0.500 0.500 0.000 Re
0.000 0.000 0.746 Tc
0.000 0.000 0.254 Tc
```

Calculated values
Space-group type: P4/mmm
Offset from the most stable computed form (meV per atom): 0
Formation energy from the elements (eV/atom): -0.05
Total magnetization (μB per formula unit): 0.00

(5)
CrOs2Ru2: optimized geometry, GGA-PBE.

```
CrOs2Ru2
1.0
4.663 0.000 -0.631
0.000 5.412 0.000
-0.091 0.000 10.873
Cr Ru Os
4 8 8
Direct
0.485 0.873 0.702 Cr
0.515 0.127 0.298 Cr
0.985 0.627 0.702 Cr
0.015 0.373 0.298 Cr
0.617 0.876 0.102 Ru
0.883 0.376 0.898 Ru
0.117 0.624 0.102 Ru
0.748 0.373 0.497 Ru
0.752 0.873 0.503 Ru
0.252 0.627 0.503 Ru
0.248 0.127 0.497 Ru
0.383 0.124 0.898 Ru
0.513 0.623 0.299 Os
0.013 0.877 0.299 Os
0.620 0.373 0.107 Os
0.880 0.873 0.893 Os
0.120 0.127 0.107 Os
0.487 0.377 0.701 Os
- - -

**To do**
Filter the notes further above: keep the lines with the word "listed", please.

**Here it is**
First-principles (GGA-PBE) data for an optimized crystal structure of SiPtRh, as listed in the Alexandria database.